It’s Okay To Be Busy

“Being busy does not always mean real work. The object of all work is production or accomplishment and to either of these ends there must be forethought, system, planning, intelligence, and honest purpose, as well as perspiration. Seeming to do is not doing.” – Thomas Edison

The word “busy” has become as taboo as another four-letter word that I’ll refrain from using here. And like that coarse four-letter word, it can lose its power and impact when used too frequently.

But being busy is real. It doesn’t always present itself as being occupied with a lot to do, either.

I would say that you can be busy doing deep work like my friend Cal Newport spends much of his time doing. He is busy doing deep work most of the time. He actually argues against being busy in this piece, but I argue that you can be busy doing deep and focused work. At the tail end of the post, Cal says:

“Do less. But do what you do with complete and hard focus. Then when you’re done be done, and go enjoy the rest of the day.”

The term “busy” can be applied to all of what he mentions. You can be busy doing less. You can be busy enjoying the rest of your day. It’s all just in how you frame the word “busy.”

What is Busy?

Busy is defined by Merriam-Webster as being “engaged in action.” Sure, there are other definitions listed, but this is the first one you’ll find. Note that it doesn’t suggest that you’re scattered or overwhelmed – which I believe is what can happen if you have too much to do – but it suggests that if you’re busy you must be engaged in action.

So let’s look at the definition of engaged and action.

Engaged is defined as being “involved” or “committed” to something or someone. As a matter of fact, it can also be defined as being pledged to be married. If you think about being engaged in those terms, then being engaged requires focus. Deep work requires focus, doesn’t it?

There are plenty of definitions of the word “action.” However, for this argument I’m going to run with this one: an act of will.

So if you think about “busy” as being involved or committed to an act of will, then it doesn’t sound nearly as detrimental, does it? It suggests that you’re focused on something that you are doing by desire or by choice.

That sounds pretty productive to me.

What I’m Saying Instead Of “I’m Busy.”

Saying “I’m busy” can become a reflex. I’ve said it more times than I’d like to admit. I still do from time to time. What about you? Is it your default response when people ask how you’re doing? What if someone asks for your help? Do you answer them the same way?

Attached: data records.
____________
A molecular structure, C32H41N2O3PdS3, computed with ωB97M-V with the def2-TZVPD basis set.

Geometry (Å):
Pd -0.1859 0.5664 -0.6585
S 2.7332 3.6775 -2.6002
S -2.8731 0.4474 -0.1651
S 0.3028 2.7706 -0.9777
O -2.2017 0.9524 -1.4660
O 0.1112 0.4685 1.7682
O -0.2758 -1.4647 -0.7375
N 2.6177 1.4098 -1.3363
N 1.9121 0.5246 -0.4774
C 0.5116 -1.2646 3.3131
C 2.7635 4.9801 -1.3287
C 2.0500 -0.8933 1.4715
C -2.8912 -2.8942 -2.8646
C -4.6227 0.5228 -0.5523
C 4.3636 3.7767 1.8814
C -1.6893 -2.8424 1.2460
C -0.7377 -1.8972 -3.6487
C 5.6977 4.1008 1.6809
C 1.2446 -2.3502 3.7160
C 0.5496 -2.7198 -3.5293
C 1.9152 2.4412 -1.5939
C -2.9951 3.1824 0.3746
C -0.4018 -0.4132 -3.7114
C -1.6969 -2.2649 -2.5239
C -3.3473 -3.4027 -0.5790
C -2.7730 1.8152 1.0036
C -1.3702 -2.1089 -1.1518
C -2.1796 -2.7555 -0.1886
C 2.6380 -0.0801 0.4022
C 3.7971 4.7108 -0.2725
C -5.4884 -0.1409 0.5069
C 5.1402 5.0172 -0.4732
C 3.4179 4.0818 0.9096
C 2.3899 -2.7551 3.0102
C -3.7407 -3.4396 -1.9095
C 2.7818 -1.9998 1.9268
C -2.6939 -2.3674 2.2949
C -1.2593 -4.2767 1.5632
C 0.8359 -0.5021 2.1410
C 6.0850 4.7194 0.4965
C 4.1407 0.0867 0.4120
H 4.4452 0.9970 -0.0913
H 2.9380 5.9157 -1.8601
H -1.7666 1.7102 1.4195
H -2.2662 -2.4683 3.2956
H -4.6739 -0.0139 -1.5028
H 0.3677 -0.2049 -4.4600
H 3.6816 -2.2828 1.3902
H -1.2791 0.1997 -3.9217
H -1.2305 -2.1837 -4.5849
H -0.3702 -0.9502 3.8605
H -4.8807 1.5664 -0.7358
H -2.4879 3.2423 -0.5893
H 4.4944 0.0880 1.4409
H 4.6099 -0.7539 -0.1068
H -4.0514 3.4084 0.2210
H -3.6165 -2.9581 2.2648
H -5.2340 -1.1957 0.6056
H -2.9550 -1.3191 2.1551
H -0.0322 -0.1556 -2.7262
H -3.9534 -3.9010 0.1730
H 1.2192 -2.5027 -4.3662
H 2.9529 -3.6287 3.3107
H -2.5741 3.9523 1.0216
H -0.7912 -4.3249 2.5503
H 7.1272 4.9606 0.3264
H 6.4341 3.8715 2.4409
H -3.4892 1.5784 1.7943
H -4.6543 -3.9415 -2.2051
H 5.4462 5.4801 -1.4053
H 1.0615 -2.4731 -2.5973
H -6.5388 -0.0665 0.2238
H 2.3768 3.8127 1.0577
H -5.3741 0.3282 1.4858
H 1.7687 5.0088 -0.8865
H -2.1171 -4.9578 1.5532
H 0.9336 -2.9062 4.5953
H -0.8056 -2.2123 1.3081
H -3.1410 -2.9894 -3.9170
H 0.3316 -3.7904 -3.5295
H -0.5360 -4.6341 0.8276
H 4.0548 3.2758 2.7905

For the energy above the lowest of the compared OMol25 structures with the same formula, charge and spin, the calculation gives 1.281 eV. The net charge is -1. The HOMO energy is -3.98 eV. For the frontier orbital gap, the calculation gives 0.234 Eh.


8 unconnected molecules or ions with the total composition C32H42BO22, computed with ωB97M-V with the def2-TZVPD basis set.

Geometry (Å):
O 0.1653 -3.6352 -0.8963
O -6.7516 5.8301 2.0005
O 6.5802 -2.0659 -4.3811
O -0.4718 0.4423 0.9535
O 1.5326 4.2705 0.4768
O 2.0587 -1.7776 -2.1754
O -1.7613 0.2693 -0.9007
O 0.6710 -0.0800 -1.1928
O -4.0169 -3.2658 3.8004
O -0.6647 -1.7111 -0.0662
O -3.0972 2.0662 -0.6820
O -1.5689 2.1989 1.8700
O 4.7485 -8.6206 -2.7311
O 3.1100 -7.1337 -2.2940
O 7.0174 -2.0677 -2.2801
O -7.7118 3.3426 -2.5977
O 4.2862 -1.5326 2.7010
O -7.4389 4.5650 -0.7672
O -2.0743 -3.3695 4.8956
____________

I want to make the word busy matter more. It deserves that because the word has become corrupted over the years. As Edison said, “Being busy does not always mean real work,” but sometimes it does. In those cases, it should have the power and impact needed to illustrate that. Ultimately you want to be able to approach this quotation with something that matters:

”It is not enough to be busy. So are the ants. The question is: What are we busy about?” – Henry David Thoreau

You need to ask yourself that question every time one of these phrases enters your mind:

1. How are you doing?
2. What are you doing?
3. Can you do this?
4. What’s going on?
5. How have you been?
6. When can we get together?

I’m sure there are other questions that others will ask you – or that you can ask yourself – that would result in the answer “I’m busy.”

You need to fend off answering that way. You devalue what you’re doing when you don’t consider what you are, as Thoreau suggests, “busy about.”

What Are You Busy About?

”One of the nice things about being busy is it makes you focus on what’s important to you and how you use your time.” – Lorne Michaels

Lorne Michaels has been running Saturday Night Live for the better part of its 40-plus year history. Most of his life he has spent his time working with a talented cast and crew to create a 90-minute show in a few short days. That’s a tall order to do once, let alone approximately 760 times (as of the end of the 2017 season).

But Michaels’s filmography goes beyond SNL. He’s produced movies, other television programs (like Kids in the Hall), and more. There’s no arguing he is a busy person. The thing is, he’s busy about the right things for him.

Some of the things he is engaged in aren’t necessarily things he desires to do, but he’s committed to them because they are part of the grand scheme of things. Producing content at the pace and rate he does requires many acts of will. Some of those acts are part of the package whether he wants to do them or not. It seems as if Lorne Michaels has got “busy” right. In fact, being busy with the right things has led to his success.

”Success usually comes to those who are too busy to be looking for it.” – Henry David Thoreau

If you were to email me right now what I am busy about, I would share with you my /now page. Even then you’d only get a glimpse of what I’m busy about. TimeCrafting helps me focus on what’s important to me and how I use my time. TimeCrafting has helped me foster awareness and gain clarity on the important things in my life. TimeCrafting helps me define what I’m busy about.

That being said, clearly being busy can be a negative. Let’s look closer at that kind of busy.

The Wrong Kind of Busy

Crazy-busy’ is a great armor, it’s a great way for numbing. What a lot of us do is that we stay so busy, and so out in front of our life, that the truth of how we’re feeling and what we really need can’t catch up with us. – Brene Brown

Busywork is the problem. I think that’s what Brene Brown is referring to when she says “crazy-busy.” It’s not knowing what you’re busy about but being busy for the sake of optics.

It’s taking action without being engaged in it – and doing so repeatedly.

It’s spending time getting your email inbox to zero without being engaged with everything that lands there first. It’s surfing the web without a clear objective in mind before opening the browser. It’s decluttering your space – physical and/or digital – without putting a plan in place first.

The right kind of busy depends on intention before attention. The wrong kind of busy attracts attention before intention.

I can’t define what the right kind of busy is for you. You need to work on that yourself. But I’ve got some ways to help you put intention before attention so you can avoid The ‘Busy’ Trap.

 3 Ways to Make Moments Matter

”I would suggest that an ideal human life lies somewhere between my own defiant indolence and the rest of the world’s endless frenetic hustle.” – The ‘Busy’ Trap by Tim Kreider (The New York Times, June 2012)

After re-reading this piece, other words came to mind that I can use instead of “I’m busy.” Words like frenetic, crazy, hectic, and so on. So I’m going to try to avoid simply stating “I’m busy” from now on. Instead, I’ll do one of two things:

1. Qualify what I’m busy about. My /now Page offers up detail as what I’m doing now. I can carry that ideal over to conversations. So if you were to ask me any of those questions I mentioned earlier instead of saying “I’m busy,” and leaving it at that, I will add more depth to the statement. Further to that, I’ll be as succinct as possible when doing so. I won’t rhyme off a list of things I”m busy about but will list one thing that encapsulates several items or – better still – mention one act of will I’m engaged in at the moment.

2. If I’m feeling frenetic, then I’ll use that word instead of busy. I’ve thrown around the term “hecticity” to describe when my life is overly full and frantic. It compels those who care to ask what the word means, and then I can qualify it from there. The big thing is that I’m going to stop saying “I’m busy” on its own as it serves absolutely no one.

I know It will be tough to adopt this habit, but once I apply it consistently, it should stick. There are things I can do to help reinforce my stance on being busy, and you can do them too.

Mindful Meditation

I know that meditation is important, but it’s something I’ve struggled to keep up with regularly. I’ve had it in my head that the more you meditate per session, the better it is for you. That’s not wrong, but I don’t always carve out time for lengthy sessions into my schedule.

There’s no way that I can do an hour of meditation. I’m nowhere near proficient enough to do it and simply don’t want to make that amount of time available for it. I’m not even doing 30 minutes.

Right now I’m doing five minutes.

Five minutes of meditation is where I’m starting my practice again. I may add more as I want to, but the baseline is five minutes. Any amount of meditation is beneficial, so start when you can and see where it takes you.

Intentional Journaling

Another thing I do is journal every evening as my last act for the day. Believe me, it takes some effort to do it daily. The payoff is what makes it worthwhile.

I have written about journaling many times before so I won’t dive in too deep here. Instead, you can check out some of my other pieces on journaling below:

This is another act you can engage in for just five minutes a day. How do I know that? Well, there’s a journal that prides itself on that length of time so much it is in its title. So there you have it.

Slow Down (Somewhat)

I’m a big fan of work of Carl Honore. He’s a proponent of doing things slowly. He describes this philosophy below:

”The slow philosophy is not about doing everything in tortoise mode. It’s less about the speed and more about investing the right amount of time and attention in the problem so you solve it.”

The key part of this explanation is understanding the difference between using speed as a metric and using attention as a metric. The focus on speed as a more valuable metric over attention all the time is problematic. It plays a part in the corruption of the word “busy” and lends itself to pushing us towards more busywork.

We can’t slow down too much. We need to be mindful of when and how we slow down. We can do so intermittently over the course of our days, weeks, and months. Activities like disconnecting from devices and going for a walk slow us down. Meditation and journaling slow us down and serve to improve our productivity because of it. Planning – yes, planning – actually slows us down because instead of spending time executing actions, we invest time towards planning the execution of actions.

I’ve long said that personal productivity requires the marriage of intention and attention. Each on their own won’t cut it. Naturally, before those two can be married they need to be engaged first.

So perhaps the best way to make sure you give the phrase “I’m busy” its power back is to say it with this in mind: “I’m busy paying attention to my intentions.”

And then be busy about that.